Daily Archives: September 18, 2014

The Happy Few

The battle lines are forming. Many whom we thought more or less our friends will betray us (bishop Tobin is the last; no doubt, many will follow). Our lines will be very, very thin compared to those of our enemies. And our enemies will try to impress you with their white, red or purple robes, and will tell you with smiling faces and soothing voices that you see, we have now decided to “be merciful”; which, of course, we never were before.

On the other side are the few who think that what the Church always thought right is right, because it's what… the Church has always believed. Their number is small, and it is going to become smaller in the foreseeable future. They are, truth be told, very polemic and very assertive. They must be, because they are the few besieged in Fort Alamo, whilst their besiegers can smile and relax, looking at their endless cohorts, and play the nice guy whilst they line the cannons against the fort.

“Look at how bitter those people are!”, the besiegers will tell to their plauding soldiers. “So bigoted, so unpleasant, so uncharitable, so… un-merciful!” So, or in similar word, they will cry, and the many public adulterers among their troops will be those who cheer the loudest.

“Compare with us, with our serene and profound theology, approved by the Holy Father himself! Aren't we the nicest bunch! Please applaud us, and remember us in your Will!”

Yes: we are few, and besieged. We hold a little fort of sanity, surrounded by the huge army of “give me an excuse” – “c”atholics, who possibly believe that as long as the numbers are with them, heaven will be too.


There's nowhere in Church teaching that salvation is earned by siding with the bigger side. The road to perdition has always been very wide, and with TMAHICH it is being enlarged and made to a superhighway as we speak. A generation that betrays Christ is a generation that Christ will discard, and not many might be those able to claim sufficient ignorance to at least make it to purgatory. May God have mercy on as many as He thinks fit among the deceived. May He punish the deceivers with all the might of His Justice.

What I see around me is an army of purpled puttanelle offering easy excuses, and cafeteria “c”atholics pretending to accept them; well knowing, all of the former as well as very many of the latter, that this is not what the Church has always taught; that it cannot be that Christ allowed the Church to deceive the faithful these two thousand years; that what they are being offered is the potion of some ecclesiastical Dulcamara, promising them the remission of sin and the obliteration of guilt against continued support.

The battle lines are forming. Fort Alamo on one side, and TMAHICH's immense and growing army on the other. But this Fort Alamo has Christ Himself defending it. It will be battered, gunned, left to hunger and thirst. But it will never be defeated.

Cheer up, then, and do not become despondent at the sight of the immense army around you. We have Christ's promise:

Non Praevalebunt.




The Rape Of The Gospel

Bishop Tobin is the last in a long series of puttanelle who suddenly start reflecting whether the Church of Christ hasn’t, perhaps, betrayed His message and done everything wrong these 2,000 years. May he repent and obtain forgiveness when he dies; and I hope for Bishop Tobin that, if he dies unrepentant, God is more lenient than I think He will be.

Dr Peters has already written a rebuttal of the many points in which the Bishop piddles out of the WC and leaves a mess all around. I suggest you go there and read his extremely diplomatic, but very clear reply in its entirety.

What I would like to point out today is the utter and complete betrayal of Christ and His Church that is put in place every time a bishop, of all people, tries to explain to us the problems in behaving like the Church has always behaved; a behaviour made the more repulsive when this is made taking as excuse a warped reading of the Gospel. Nor can his apparent contradictions fool anyone about his subversive intent and the fact that this is the usual Modernist/V II style. “Of course we uphold Church teaching, but….”.

The Devil can quote the Gospel for his purposes, and it is not difficult to take it in isolation and let it say whatever we want to; which, by the way, is the reason for thousands of different Protestant congregations, all claiming to follow the same Scripture.

Every child used to know that; which is why they went to Catechism first and to Doctrine later, where they would be given a coherent and organic exposition of the Truth; this, in turn, would allow them to avoid the danger of reading the Gospel and raping it for their own purposes.

Not so in the new world of our purple puttanelle.

They will take a verse or two in isolation – say: Jesus’ condemnation of the extremely rigid formalism of Jewish Sabbath observance; clearly reflected in the understanding of Sunday in all Catholic Countries – and wonder whether, in light of his extraordinary discovery, rules should now make any sense at all. Perhaps should we, then, decide that public adulterers could receive communion? Look, the Jews were wrong! It follows that the Church is wrong too, right?

There is only one word for the Bishop’s behaviour: prostitution. And no, I do not care if there are far worse bishops that Tobin around. Battle lines are been formed here, and no bishop can claim to remain neutral. On the side of Christ, or on the side of Satan. Bishop Tobin has chosen Satan’s, and the fact that he did abundantly shows the extent of the problem.

Ask yourself whether the bishop would have expressed himself in such terms during Benedict’s pontificate, and you will see very clearly the poison in his soul.

This, my friends, is another one looking for Brownie points by TMAHICH.



How To Lose Your Post, And Other Reflections.

How do you lose your post? If you are Cardinal Burke, perhaps you do (and you did) it just with this interview.

The interview is, in my eyes, significant for many aspects; including the ambiguity of the V II mentality, a defect from which Cardinal Burke is not exempt.

Let us see more in detail the important parts:

1. We make judgments all day concerning what is right and what is wrong.

Very fine. Best part of the interview. A hammer blow on the genitals of “who am I to judge?”. Well said, Your Grace! For the record, I think you would have lost your post anyway, so it is better to go after some straight talk after all…

2. We can’t say that a particular person is in mortal sin. He might not be conscious etc…

Well, we can’t judge the interior forum; but we have no right to be blind and stupid, either. It’s not that the Pope does not know what fornication is. It’s not that he does not know the concept of complicity in another’s sin. It’s not that a sodomite does not know the biblical episode, and what Christianity says God has in store for him unless he repents. As we remind ourselves of the rules, we keep our brains switched on.

Curiously, I never hear the Cardinal, or anyone else, applying this very merciful reasoning to Hitler.

“Oh, but he knew! He knew! ‘ course he knew!”

He knew, uh? What about Elton John? Is he under an evil spell?

3. He (Burke) is not intolerant of people with same-sex attraction; but hey, they do endanger their soul.

Can we stop with this PC talk of “same-sex” attraction? Is incest called “same-family attraction?” Is bestiality called “family pet attraction?” Is pedophilia called “child-attraction”? (yes, I know what it means in Greek; but the first word has a negative connotation the second one waters down). It’s called homosexuality, and the act is called sodomy.

It never ceases to amaze me that old bibles have words like “sodomite”, “whore”, “harlot”, and we think we must say “same-sex attraction”. Screw that. Call perverts with their name. It will do them a lot of good. It might, actually, lead them – by God’s grace – to save their souls.

The Cardinal does express the concept here, but he is too cautious. He walks on eggs. He is too V II.

4. The lesbian daughter of the old harpie isn’t evil; merely what she does is.

As the Gipper would say, “here you go again!”.

“Stupid is as stupid does”, says (if memory serves) Forrest Gump’s mother, and the entire world embraces the tautological truth of it. Strangely, it seems not to apply in case of evil acts. Evil acts are not committed by evil people. Who are we (cough) to judge?

One gases 300,000 people, or sends them to millions in gas chambers, or lets them die in horrible Gulags. How can I know he is evil, then? I am not in his brains, right? Repeat with me: “internal forum”.

Really? Really?

“Oh, but in Saddam’s case it is obvious!”

Fine. Saddam’s evil is obvious, and the unnatural evil of sexual perversion, celebrated in public for all the world to see, isn’t? Can any of these people say they do not know perfectly well what Christian teaching on the matter is? On the contrary: isn’t it so, that they are so angry and so militant exactly because they know it? What could be more obvious, than their knowledge of Christ’s rules, and their rebellion to them?

**Data records that have nothing to do with the piece**
-- begin --
# K3TiFeH4S4O19

A relaxed K3TiFeH4S4O19 crystal (PBE+U, the Materials Project).

Energy = -5.751 eV/atom
Calculated formation energy = -1.735 eV/atom

a b c (Å): 9.725 9.725 12.847
angles (deg): 88.48 88.48 132.11
Fractional coordinates of all 64 atoms:
S 0.158 0.293 0.960
S 0.726 0.273 0.250
S 0.273 0.726 0.750
S 0.682 0.321 0.748
S 0.837 0.703 0.040
S 0.321 0.682 0.248
S 0.293 0.158 0.460
S 0.703 0.837 0.540
O 0.788 0.529 0.735
O 0.718 0.263 0.654
O 0.646 0.808 0.864
O 0.170 0.529 0.776
O 0.529 0.170 0.276
O 0.188 0.745 0.659
O 0.537 0.688 0.488
O 0.790 0.777 0.598
O 0.288 0.739 0.343
O 0.980 0.151 0.026
O 0.084 0.402 0.472
O 0.251 0.801 0.845
O 0.354 0.190 0.139
O 0.221 0.211 0.903
O 0.920 0.600 0.530
O 0.013 0.842 0.975
O 0.402 0.084 0.972
O 0.461 0.302 0.513
O 0.470 0.835 0.720
O 0.479 0.224 0.760
O 0.529 0.788 0.235
O 0.777 0.790 0.098
O 0.224 0.479 0.260
O 0.211 0.221 0.403
O 0.688 0.537 0.988
O 0.190 0.354 0.639
O 0.910 0.079 0.248
O 0.151 0.980 0.526
O 0.739 0.288 0.843
O 0.835 0.470 0.220
O 0.263 0.718 0.154
O 0.801 0.251 0.345
O 0.600 0.920 0.030
O 0.842 0.013 0.475
O 0.808 0.646 0.364
O 0.745 0.188 0.159
O 0.302 0.461 0.013
O 0.079 0.910 0.748
H 0.391 0.159 0.074
H 0.611 0.841 0.929
H 0.474 0.868 0.050
H 0.159 0.391 0.574
H 0.841 0.611 0.429
H 0.145 0.528 0.446
H 0.528 0.145 0.946
H 0.868 0.474 0.550
Ti 0.760 0.989 0.143
Ti 0.989 0.760 0.643
Fe 0.011 0.249 0.359
Fe 0.249 0.011 0.859
K 0.515 0.483 0.251
K 0.869 0.129 0.751
K 0.500 0.001 0.500
K 0.483 0.515 0.751
K 0.001 0.500 0.000
K 0.129 0.869 0.251

=====

Sb3NF10 | PBE | optimized geometry

Cell: 8.319 14.479 8.471 Å, 90.00 92.48 90.00°
Element x y z (fractional)
Sb1 0.089 0.249 0.090
Sb2 0.089 0.251 0.590
Sb3 0.242 0.537 0.801
Sb4 0.242 0.963 0.301
Sb5 0.263 0.527 0.307
Sb6 0.263 0.973 0.807
Sb7 0.737 0.027 0.193
Sb8 0.737 0.473 0.693
Sb9 0.758 0.037 0.699
Sb10 0.758 0.463 0.199
Sb11 0.911 0.749 0.410
Sb12 0.911 0.751 0.910
N1 0.489 0.743 0.124
N2 0.489 0.757 0.624
N3 0.511 0.243 0.376
N4 0.511 0.257 0.876
F1 0.016 0.571 0.857
F2 0.016 0.929 0.357
F3 0.070 0.605 0.266
F4 0.070 0.895 0.766
F5 0.127 0.225 0.830
F6 0.127 0.275 0.330
F7 0.162 0.553 0.574
F8 0.162 0.947 0.074
F9 0.234 0.143 0.116
F10 0.234 0.357 0.616
F11 0.266 0.166 0.566
F12 0.266 0.334 0.066
F13 0.286 0.666 0.819
F14 0.286 0.834 0.319
F15 0.297 0.538 0.068
F16 0.297 0.962 0.568
F17 0.378 0.637 0.364
F18 0.378 0.863 0.864
F19 0.475 0.524 0.709
F20 0.475 0.976 0.209
F21 0.525 0.024 0.791
F22 0.525 0.476 0.291
F23 0.622 0.137 0.136
F24 0.622 0.363 0.636
F25 0.703 0.038 0.432
F26 0.703 0.462 0.932
F27 0.714 0.166 0.681
F28 0.714 0.334 0.181
F29 0.734 0.666 0.934
F30 0.734 0.834 0.434
F31 0.766 0.643 0.384
F32 0.766 0.857 0.884
F33 0.838 0.053 0.926
F34 0.838 0.447 0.426
F35 0.873 0.725 0.670
F36 0.873 0.775 0.170
F37 0.930 0.105 0.234
F38 0.930 0.395 0.734
F39 0.984 0.071 0.643
F40 0.984 0.429 0.143

## Properties
**Formation energy from the elements**: -1.998 eV per atom
-- stop --

Truly: must Satan spit directly in our face before we recognise his work, and his minions?

By the by, I have always been told that in what gravely goes against natural law no one can hide behind ignorance, because one’s God-given conscience will always rebel to it, and an insisted, substantial, evil effort will be required to become deaf to its voice. Which is why no one can massacre a village, of screw a dog, or his sister, or his school pal and then say “I’m fine, because I wasn’t told it was wrong”.

This is so darn obvious, I wouldn’t have to even write it. But hey, we live in the “age of mercy”, where TMAHICH is in power, and the official reading is that the Blessed Virgin might have thought “Lies! I have been deceived!” under the cross.

Let us say it once again: where I come from there was this strange expectation that the brains are kept switched on. This idea that everyone is always innocent even when he screams to the world day and night that he isn’t just wasn’t there.

Evil is who evil does. Forrest Gump gets it. Let’s try to do the same.

We should, I think, go back to the basics of sound thinking. We do not know whether anyone, even Elton John or Stephen Fry, will go to hell; and we wish them from the heart that they may, by the grace of God, avoid that terrible destiny, as we hope the same for ourselves.

But we can’t just pretend to be such fools that we can’t see the open rebellion to Our Lord even when openly advertised and boasted of. Particularly so, when this rebellion happens in matters of natural law, which God has written indelebly in everyone of us.

Yes, we prudently consider that we do not know the people’s internal forum, whenever there is room for reasonable doubt. But we don’t say the same of Hitler and Stalin, because common sense tells us that when one goes around screaming to the world that he is the enemy of Christ, well he damn well is. If this is true for Pol Pot and Lenin, then it must be true for all those perverts who give scandal of their perversion, in open defiance to God’s laws.


All in all, then, a typical Burke. Laudably orthodox and brave in the intent, but in the end weak in the delivery, and with the usual, unsavoury V II undertones.

Still, I can’t avoid thinking TMAHICH read the interview and the part about the judging, and… judged Burke worthy of swift punishment.